How do we know the Bible is real? How do we know it’s not just a bunch of stories people decided to write a long time ago? What about the Dead Sea Scrolls, didn’t they prove some of it was wrong? (that’s what I heard)
Hi there, those are some great questions. I’ll try to answer each in order for you.
How do we know that the Bible is real? – Every document has to be put through some sort of testing to see if it’s somewhat real. That would be asking questions like, ‘does it talk about real things? Is the history that it reveals accurate?’ This is one of the key differences, in my opinion between the Book of Mormon (which talks about American Indians coexisting with an alleged race of people that has never been found on our continent and has no archaeological evidence at all), and the Bible, which is proved time and time again as being a legitimate history book. Then we have predictions, or prophecies that were written down before they happened, which at least express that it’s a ‘magical’ book of some sort. Then we study to see if it’s internally consistent (which means it doesn’t contradict itself) and it passes that test, too. What would be a good test that the Bible is real for you?
What comes next are molecular data, not part of the page:
<<<
# 1
Density functional theory data (the ωB97M-V functional and the def2-TZVPD basis) for C22H17BrN8OPtS4Sb as an isolated structure.

2S+1	6
M	934.443	g/mol
E_LUMO (spin up / spin down)	-0.7712 / -2.6258	eV
net charge	0
frontier orbital gap (spin up / spin down)	0.24999 / 0.21069	hartree
energy above the lowest of the compared OMol25 structures with the same formula, charge and spin	3.339	eV

Positions of all 55 atoms, in Å:
Pt  0.707  0.635  1.137
S  2.398  3.621  5.749
Sb  2.058  1.637  4.863
S  0.212  2.290  3.179
S  2.100  2.303  2.322
S  2.369  -0.988  0.237
C  1.955  -0.742  -1.402
N  2.570  -1.509  -2.370
N  2.694  -2.800  -2.123
C  1.742  -3.664  -1.540
C  2.177  -4.924  -1.142
C  1.284  -5.797  -0.544
C  -0.035  -5.418  -0.340
C  -0.460  -4.165  -0.760
C  0.417  -3.283  -1.369
N  1.143  0.212  -1.874
N  0.717  1.026  -0.949
C  -0.276  2.011  -1.275
C  -0.209  3.766  -0.006
C  -1.165  4.831  -0.588
C  -2.084  3.921  -2.370
C  -2.139  2.486  -2.774
C  -1.289  1.594  -2.279
H  3.477  -3.238  -2.589
H  3.214  -5.205  -1.277
H  1.626  -6.771  -0.222
H  -0.725  -6.083  0.158
H  -1.490  -3.868  -0.612
H  0.074  -2.312  -1.699
H  0.409  4.062  0.834
H  -1.101  5.823  -0.154
H  -2.594  4.552  -3.094
H  -2.897  2.175  -3.480
H  -1.314  0.551  -2.560
Br  -3.906  5.708  -0.941
C  -2.575  4.292  -0.904
C  -0.676  4.471  -2.015
C  0.308  3.438  -1.422
N  -0.787  2.393  0.124
C  -2.180  2.289  0.436
C  -3.040  3.186  -0.025
H  -0.261  5.202  -2.701
H  1.353  3.490  -1.707
H  -2.475  1.433  1.019
H  -4.092  3.097  0.203
N  1.373  -2.786  4.094
C  0.804  -2.000  3.155
O  1.250  -0.835  2.997
C  -0.291  -2.547  2.404
C  -0.726  -3.879  2.557
N  -1.027  -4.983  2.705
C  -0.834  -1.678  1.465
N  -1.096  -0.809  0.734
H  2.215  -2.462  4.537
H  1.097  -3.747  4.199

---

# 2
Density functional theory data (the ωB97M-V functional and the def2-TZVPD basis) for C7H28CdN16O13 as an isolated structure.

M	656.812	g/mol
E_LUMO	-1.8446	eV
net charge	0
frontier orbital gap	0.23957	hartree

Positions of all 65 atoms, in Å:
Cd  -0.278  2.399  -2.428
N  -1.024  0.133  -0.051
O  -1.877  0.550  0.670
O  -0.437  0.927  -0.878
O  -0.654  -1.063  -0.071
N  -1.253  4.298  -0.024
O  -2.157  4.082  0.734
O  -1.295  3.819  -1.213
O  -0.281  5.016  0.282
C  1.520  0.036  -4.181
O  1.048  0.891  -3.420
N  1.004  -1.207  -4.325
N  2.626  0.275  -4.933
H  1.379  -1.822  -5.024
H  0.084  -1.415  -3.969
H  2.774  -0.261  -5.768
H  3.126  1.139  -4.839
C  3.499  -0.888  -0.770
O  4.574  -0.794  -1.343
N  2.817  0.198  -0.252
N  2.795  -2.056  -0.697
H  1.830  0.202  -0.462
H  3.358  1.038  -0.392
H  3.318  -2.843  -1.038
H  2.041  -2.172  -0.044
C  2.534  3.394  -1.036
O  1.550  3.092  -1.721
N  2.335  4.086  0.110
N  3.810  3.005  -1.285
H  1.381  4.438  0.241
H  3.037  4.241  0.809
H  3.936  2.489  -2.140
H  4.609  3.413  -0.838
C  -2.936  -2.456  -2.541
O  -3.155  -3.576  -2.125
N  -3.905  -1.647  -3.067
N  -1.660  -1.944  -2.663
H  -4.867  -1.922  -3.037
>>>
End of the molecular data:
How do we know it’s not just a bunch of stories people decided to write a long time ago? - Mostly because of the archeological evidence. Now, as far as the personal stories (i.e. I saw God stories), we don’t have proof. There is no way to prove a one-time event. That part we have to believe based on all the other stuff we can prove. We can see if there is reason to doubt their authenticity (the authors). We can see if the stories agree with other accounts. It’s one thing for a guy to lie, it’s another thing for two people to lie and agree from different locations at the same time. The general tone of the Bible can be examined to see that it’s not just fake stories, but the individual stories of their own lives, cannot be fully proven just like if you said, ‘I fell in love with this little dog who was so cute.’ I can’t prove that, even if it’s true.
_Records of molecules, as found in the file_
ORCA calculation (wB97M-V/def2-TZVPD) on a single C5H4N2O molecule in a non-equilibrium geometry.

Output
E   -377.53035 Eh
SMILES   C=COC(C#N)C#N
Kohn-Sham gap   10.47 eV
LUMO energy   0.30 eV
HOMO   -10.1666 eV

```
! wB97M-V def2-TZVPD RIJCOSX def2/J DEFGRID3
* xyz 0 1
C 2.718 0.215 -0.434
C 1.517 -0.535 -0.274
O 0.902 -0.177 0.921
C -0.480 0.073 0.665
C -0.886 1.399 0.004
N -1.538 2.246 -0.492
C -1.255 -1.038 -0.103
N -1.816 -2.057 -0.390
H 3.253 0.993 0.222
H 3.251 -0.202 -1.277
H 1.176 -1.578 -0.856
H -1.106 0.199 1.566
*
```

natural (NBO) charges, unit e, in atom order: C -0.42; C 0.04; O -0.48; C -0.05; C 0.23; N -0.26; C 0.23; N -0.26; H 0.24; H 0.20; H 0.25; H 0.28

~~~~~

Here is C4H2OS in the gas phase in a non-equilibrium geometry from the Open Molecules 2025 dataset. Energies are from the ωB97M-V functional and the def2-TZVPD basis.

Cartesian coordinates (Å):
C: -0.04660 -0.20111 -0.34533
C: -2.57752 0.01252 0.63165
C: 1.25328 -0.43194 -0.07062
C: -1.46405 -0.14091 0.22464
O: 3.59637 0.88820 -0.19491
S: 2.97916 -0.46689 -0.05017
H: -0.30400 0.04686 -1.34041
H: -3.43664 0.29327 1.14515

Calculated values
E_tot	-17057.175	eV
frontier orbital gap (spin up / spin down)	0.3061 / 0.3059	hartree
LUMO level (spin up / spin down)	-1.084 / -1.088	eV
net charge	0
2S+1	1

Atomic partial charges in e from the natural (NBO) method, atoms 1 to 5: -0.276, -0.169, -0.240, -0.042, -0.870

=====

Here is a molecular structure, C4H30BO23 in a non-equilibrium geometry from the Open Molecules 2025 dataset. Energies are from the ωB97M-V functional and the def2-TZVPD basis.

Cartesian coordinates (Å):
O: -60.41135 -6.85906 -3.61779
C: -61.50506 -6.60141 -3.12291
O: -62.59498 -7.02322 -3.55174
B: -63.65979 -6.30044 -2.90538
O: -62.99351 -5.24194 -2.04675
C: -61.75297 -5.55689 -2.09988
O: -61.00219 -4.68325 -1.87274
O: -64.45713 -7.29876 -2.15732
C: -65.67873 -7.03829 -2.49252
O: -66.67405 -7.62167 -1.93295
C: -65.75117 -6.04958 -3.48508
O: -64.64485 -5.60436 -3.71862
O: -66.77789 -5.30898 -3.61105
O: -68.03776 -8.68203 -0.47919
H: -67.64358 -8.07954 -1.25081
H: -67.39988 -8.44786 0.17892
O: -59.04194 -9.59027 -4.51120
H: -58.28306 -9.95851 -4.11569
H: -59.44944 -8.98738 -3.84552
O: -64.21917 -9.64303 -0.97189
H: -63.87633 -9.10894 -0.07526
H: -64.44020 -8.79674 -1.53350
O: -62.46683 -2.18084 -2.09958
H: -61.72192 -2.88959 -2.27365
H: -63.30302 -2.49309 -1.85108
O: -62.82554 -5.24375 0.94152
H: -63.60396 -5.46924 1.25959
H: -62.74545 -5.30868 0.02357
O: -63.05359 -4.42609 -5.82177
H: -63.63351 -4.00357 -6.46977
H: -63.40828 -5.38164 -5.85482
O: -66.15813 -8.67055 -5.09930
H: -65.36926 -8.49547 -5.60313
H: -66.03348 -9.22117 -4.29375
O: -69.64849 -5.53346 -4.47370
H: -69.34223 -5.27783 -3.57918
H: -68.93106 -5.59826 -5.14267
O: -68.54095 -7.83062 -4.17425
H: -68.77893 -6.84856 -3.92479
H: -67.50156 -7.93868 -4.45075
O: -57.81085 -6.92297 -2.74751
H: -58.47843 -6.42369 -3.20545
H: -57.43723 -6.16664 -2.21498
O: -65.23946 -2.81871 -1.92276
What about the Dead Sea Scrolls? - The Dead Sea Scrolls are currently some of the oldest copies of ancient Biblical literature that we have, yet the reason we can have any confidence in some of the findings is that they can be checked against the manuscripts and pieces of writings from all over the world. Outside of the Dead Sea Scrolls, scholars are currently working with about 10,000-plus fragments (some large, some small) of the New Testament from different places and times, and we are working with about 4,000-plus fragments (some large some small) of the Old Testament. This means that we can cross check to see where they all agree. If 3,000 all tell the same thing exactly and one has some weird addition, it becomes obvious that it’s the odd one. The Dead Sea Scrolls were large documents that allowed for more double-checking. If there was bogus ‘oral tradition’ (where all this came from – people told stories and then someone wrote it down eventually, since writing things down wasn’t a part of early civilization) at the beginning, then yes, they are just continuing bad information. At least we can know it’s accurate bad information, or consistent bad information (smile).